Robert Bardesey to Sir William Stonor
- Medieval Family Life
- Title
- Robert Bardesey to Sir William Stonor
- Reference
- SC 1/46/135
- Date
- 16 November [?1481]
- Library / Archive
- The National Archives, UK
- Transcript location(s) in printed volume(s)
- Carpenter, 'Kingsford's Stonor Letters', item 295; Kingsford, Vol II, item 295
- Transcript from Christine Carpenter, 'Kingsford's Stonor Letters and Papers, 1290-1483'
STONOR16 NOV. [? 1481]
Robert Bardesey is probably the Robert Bardesey of Wallingford, who
died in 1482 (Cal. Inq. p.m., iv, 408). William Abell, fishmonger, of
Queenhithe, was dead before the summer of 1482, when his wife Elizabeth
had married again (Placita de Banco, Roll 881, m 528; cf. Letter Book, L.,
p. 214). The date of this letter cannot therefore be later than 1481, and
may be 1480. For Robert Warner see Nos. 203, 205 and 206. From A.C.,
xlvi, 135.55Right honourable Sir, and my especiall gode Maister, I hertily commaund
me to you: lattyng your Maistership to wytte that one Robert Warner
of Watlyngton, nowe dede, was endetted unto a especiall gode frend of
myne, William Abell of London dewellyng at Quenehith, in the summe
of xviij. li. xij. d., the parcelles whereof I send unto your maistership
enclosed herein: and for that it is do me to understande your maister-
ship or other by you assigned have the disposicion and administracion
of his godes, wich William Abell is visited grete with sekenes and
especially with a palsey, whereof I am full sory, and his wyfe and all
his frendes therefore in grete hevynesse, so that he him self may not
laboure for the recovering of his dettis: and therefore his wyfe, which
is a veray gode and a wytty woman and full well cheriseth him nowe in
his sekenesse, hath prayed me and me instanced gretely to write unto
your maistership to fynde the meane that her husbond and she might
be contented of the seide duetee: and therefore I besech you of your
seide gode maistership, that by the meanes thereof they may be con-
tented of their seide duetee, and I feithfully promyt unto your maister-
ship that they therfore shall do you a pleasure. Besechyng your seide
Maistership to hold me excused in that I this boldly take upon me to
write unto yow herein: and allmyghty Jhesu have you in his blessed
Molecular data, kept here for reference:
- - -
Computed, not measured: a molecular structure, C30H24AsBrNO6PPdS, with the ωB97M-V functional and the def2-TZVPD basis.

Element x y z (Å)
Pd1 -0.185 0.120 0.333
O1 0.837 -0.424 3.551
As1 2.179 -0.312 2.319
O2 3.585 -0.200 3.146
O3 1.648 0.972 1.383
C1 1.880 -2.104 1.595
C2 1.403 -3.025 2.525
C3 1.118 -4.330 2.151
C4 1.317 -4.729 0.840
C5 1.819 -3.826 -0.084
C6 2.102 -2.518 0.284
S1 2.765 -1.431 -0.981
O4 3.735 -0.623 -0.266
O5 3.313 -2.329 -1.987
O6 1.604 -0.680 -1.464
H1 0.867 0.438 3.984
H2 1.223 -2.702 3.541
H3 0.724 -5.027 2.881
H4 1.080 -5.742 0.537
H5 2.004 -4.119 -1.109
N1 -2.054 0.608 -0.537
P1 -1.846 2.128 -0.277
C7 -2.220 2.842 1.389
C8 -1.935 2.080 2.520
C9 -2.192 2.575 3.790
C10 -2.743 3.839 3.952
C11 -3.036 4.606 2.834
C12 -2.775 4.108 1.564
C13 -2.908 3.178 -1.355
C14 -4.249 2.812 -1.472
C15 -5.116 3.540 -2.271
C16 -4.649 4.644 -2.976
C17 -3.314 5.007 -2.878
C18 -2.448 4.276 -2.073
C19 -0.169 2.789 -0.602
C20 0.505 2.255 -1.702
C21 1.806 2.640 -1.981
C22 2.444 3.565 -1.169
C23 1.785 4.098 -0.070
C24 0.487 3.708 0.216
H6 -1.483 1.100 2.397
H7 -1.953 1.968 4.655
H8 -2.941 4.225 4.946
H9 -3.467 5.594 2.948
H10 -3.007 4.722 0.701
H11 -4.598 1.935 -0.938
H12 -6.154 3.243 -2.352
H13 -5.323 5.213 -3.605
H14 -2.940 5.859 -3.434
H15 -1.405 4.562 -2.005
H16 0.027 1.478 -2.287
H17 2.339 2.171 -2.798
H18 3.474 3.835 -1.364
H19 2.302 4.777 0.597
H20 0.001 4.082 1.109
Br1 -3.552 -5.495 1.174
C25 -2.609 -3.843 0.936
C26 -2.456 -2.992 2.012
C27 -1.758 -1.802 1.838
C28 -1.219 -1.466 0.596
C29 -1.399 -2.343 -0.475
C30 -2.083 -3.539 -0.308
H21 -2.860 -3.257 2.981
H22 -1.595 -1.155 2.690
H23 -0.989 -2.084 -1.443
H24 -2.207 -4.223 -1.137

* frontier orbital gap: 0.231 hartree
* electronic energy: -199760.1324 eV
* 2S+1: 1
* energy relative to the best compared isomer or geometry (same formula, charge and spin): 0.7341 eV
* charge: -2

natural (NBO) atomic charge list, values in e, 2 entries:
1 Pd 0.730
2 O -1.067

Computed, not measured: a gas-phase ion, C3H7N4O (charge +1), with the ωB97M-V functional and the def2-TZVPD basis.

Element x y z (Å)
N1 -0.859 -1.623 0.204
C1 -0.250 -0.547 -0.267
N2 -0.994 0.082 -1.695
O1 -1.914 -0.891 -2.136
N3 0.568 0.241 0.376
C2 1.501 0.076 1.543
C3 1.963 1.317 1.374
N4 1.174 1.512 0.197
H1 -1.042 -1.632 1.157
H2 -1.637 -1.750 -0.456
H3 -0.305 0.231 -2.387
H4 -2.775 -0.481 -2.208
H5 1.549 -0.888 2.111
H6 2.529 2.013 1.861
H7 0.492 2.339 0.326

* frontier orbital gap: 0.367 hartree
* electronic energy: -11220.1191 eV
* 2S+1: 1
* energy relative to the best compared isomer or geometry (same formula, charge and spin): 5.8589 eV
* charge: +1
* SMILES string: N/C(=[NH+]\O)n1cc[nH]1

natural (NBO) atomic charge list, values in e, 2 entries:
1 N -0.743
2 C 0.663

Computed, not measured: 5 unconnected molecules or ions with the total composition C22H37BFN6O6, with the ωB97M-V functional and the def2-TZVPD basis.

Element x y z (Å)
C1 5.884 -3.310 -0.363
C2 4.463 -3.199 0.237
B1 3.450 -2.655 -0.822
O1 3.832 -1.652 -1.662
- - -
keping. Writtyn at London the xvj day of Novembre,By your servaunt Robt. Bardesey.
To my right honorable and especiall gode maister, Syr Willm, Stonor,
knyght. - Transcript from Charles Lethbridge Kingsford, 'The Stonor Letters and Papers 1290-1483, Volume II'
STONOR16 NOV. [? 1481]
Robert Bardesey is probably the Robert Bardesey of Wallingford, who
died in 1482 (Cal. Inq. p.m., iv, 408). William Abell, fishmonger, of
Queenhithe, was dead before the summer of 1482, when his wife Elizabeth
had married again (Placita de Banco, Roll 881, m. 528; cf. Letter Book, L.,
p. 214). The date of this letter cannot therefore be later than 1481, and
may be 1480. For Robert Warner see Nos. 203, 205 and 206. From A.C.,
xlvi, 135.Right honourable Sir, and my especiall gode Maister, I hertily commaund
me to you: lattyng your Maistership to wytte that one Robert Warner
of Watlyngton, nowe dede, was endetted unto a especiall gode frend of
myne, William Abell of London dewellyng at Quenehith, in the summe
of xviij. li. xij. d., the parcelles whereof I send unto your maistership
enclosed herein: and for that it is do me to understande your maister-
ship or other by you assigned have the disposicion and administracion
of his godes; wich William Abell is visited grete with sekenes and
especially with a palsey, whereof I am full sory, and his wyfe and all
his frendes therefore in grete hevynesse, so that he him self may not
laboure for the recovering of his dettis: and therefore his wyfe, which
is a veray gode and a wytty woman and full well cheriseth him nowe in
his sekenesse, hath prayed me and me instanced gretely to write unto
your maistership to fynde the meane that her husbond and she might
be contented of the seide duetee: and therefore I besech you of your
seide gode maistership, that by the meanes thereof they may be con-
tented of their seide duetee, and I feithfully promyt unto your maister-
ship that they therfore shall do you a pleasure. Besechyng your seide
Maistership to hold me excused in that I this boldly take upon me to
write unto yow herein: and allmyghty Jhesu have you in his blessed
keping. Writtyn at London the xvj day of Novembre,By your servaunt Robt. Bardesey.
To my right honorable and especiall gode maister, Syr Willm. Stonor,